NECC 2006

I am feeling the swell of information and excitement today after a series of great sessions.

**Quantum chemistry results from another source follow:**
........
Model one:
Here is a gas-phase ion, C3H7N2S (charge +1) from the Open Molecules 2025 dataset. Energies are from ωB97M-V/def2-TZVPD.

Each line ends with the natural charge from an NBO analysis.
Positions of all 13 atoms, in Å:
C (-0.664, -0.269, 0.277)  0.557
C (1.600, 0.869, -0.683)  -0.469
C (0.905, 0.659, 0.598)  -0.326
N (-0.559, -1.372, -0.434)  -0.743
N (-1.827, 0.124, 0.679)  -0.741
S (2.288, -0.446, 0.439)  0.225
H (1.052, 0.470, -1.548)  0.227
H (2.332, 1.625, -0.947)  0.274
H (0.635, 1.297, 1.462)  0.269
H (0.315, -1.725, -0.943)  0.462
H (-1.390, -1.849, -0.505)  0.400
H (-2.026, 1.067, 1.059)  0.447
H (-2.662, -0.450, 0.546)  0.420

Properties
Orbital gap   0.3739 hartree
Net charge   +1


Model two:
Here is a gas-phase ion, C3H7N2S (charge +1) from the Open Molecules 2025 dataset. Energies are from ωB97M-V/def2-TZVPD.

Each line ends with the natural charge from an NBO analysis.
Positions of all 13 atoms, in Å:
C (1.798, -0.629, 0.507)  0.100
C (0.759, -0.745, -0.631)  -0.245
C (-0.953, 0.658, 0.425)  -0.403
N (2.930, -0.149, 0.310)  -0.396
N (-0.093, 0.331, -0.661)  -0.549
S (4.282, 0.380, -0.083)  0.717
H (1.453, -1.182, 1.334)  0.278
H (1.423, -0.825, -1.611)  0.234
H (0.444, -1.779, -0.695)  0.257
H (-1.434, 1.707, 0.136)  0.237
H (-1.562, -0.143, 0.555)  0.209
H (0.283, 1.193, -1.050)  0.389
H (-0.338, 0.848, 1.295)  0.172

Properties
Orbital gap (spin up / spin down)   0.2250 / 0.2252 hartree
Net charge   +1


Model three:
Here is a gas-phase ion, C3H7N2S (charge +1) from the Open Molecules 2025 dataset. Energies are from ωB97M-V/def2-TZVPD.

Each line ends with the natural charge from an NBO analysis.
Positions of all 13 atoms, in Å:
C (-0.450, -1.471, -0.321)  0.007
C (2.038, 0.261, 1.210)  -0.523
C (-2.426, 0.648, -1.020)  -0.785
N (0.869, 0.041, 0.477)  -0.071
N (0.739, -0.979, -0.282)  -0.275
S (-1.974, -1.170, -0.682)  0.653
H (2.536, 1.276, 1.012)  0.283
H (1.873, 0.302, 2.288)  0.273
H (2.894, -0.555, 1.125)  0.205
H (-3.434, 0.747, -1.628)  0.287
H (-1.706, 1.294, -1.590)  0.264
H (-2.518, 1.109, -0.032)  0.260
H (1.561, -1.504, -0.556)  0.422

Properties
Orbital gap (spin up / spin down)   0.2752 / 0.2981 hartree
Net charge   +1


Model four:
Here is a gas-phase ion, C3H7N2S (charge +1) from the Open Molecules 2025 dataset. Energies are from ωB97M-V/def2-TZVPD.

Each line ends with the natural charge from an NBO analysis.
Positions of all 13 atoms, in Å:
C (-0.153, 1.478, 1.207)  0.026
C (-0.048, 1.850, -0.304)  -0.567
C (0.291, -0.655, -0.494)  -0.242
N (0.114, 0.357, 1.600)  -0.337
N (-0.207, -1.902, -0.087)  -0.767
S (-0.566, 0.515, -1.381)  0.417
H (-0.521, 2.359, 1.797)  0.260
H (-0.552, 2.704, -0.622)  0.259
H (1.022, 1.856, -0.362)  0.250
H (1.379, -0.506, -0.328)  0.246
H (-0.043, -1.900, 1.014)  0.512
H (0.380, -2.723, -0.575)  0.465
H (-1.292, -2.029, -0.354)  0.479

Properties
Orbital gap (spin up / spin down)   0.2930 / 0.2867 hartree
Net charge   +1
........
**The page goes on:**

The keynote speech today was given by Nicholas Negroponte, creator of the one laptop per child initiative. It was very exciting sitting in the audience and hearing him describe the transformative power of placing this tool to connect with the world into the hands of a child. Especially a child who takes nothing for granted, and where the only hope for advancement is through education.

As is now the case with any sort of conference with even a smattering of tech connections, many people have written up their thoughts about his speech:

Favorite quotes from Negroponte’s speech:

Record 1
The following is a quantum chemistry calculation of a structure of composition C17H18F5NO5TeZr, from the OMol25 dataset.

The relative energy (zero: lowest compared OMol25 entry of this formula, charge and spin) comes out at 18.07 kcal per mole. The value obtained for the LUMO energy is -8.02 eV. For the HOMO-LUMO gap, the calculation gives 0.31575 hartree. As for the charge: +2.

The geometry in XYZ format:
```
48
C17H18F5NO5TeZr (ωB97M-V/def2-TZVPD)
Zr 0.6903 0.3611 0.7148
C -4.0107 -0.2522 0.1230
C -3.0293 0.6112 -0.6616
C -2.4656 -0.1632 -1.8576
C -1.9492 1.2399 0.2010
C -1.0231 2.1241 -0.3597
C -0.1078 2.8317 0.4356
C -0.1050 2.7103 1.8322
C 0.8343 3.4876 2.6979
C -1.0025 1.7810 2.3887
C -1.8790 1.0527 1.5989
H -4.7944 -0.6060 -0.5446
H -4.4945 0.3001 0.9285
H -3.5197 -1.1326 0.5483
H -3.5844 1.4659 -1.0634
H -2.0524 -1.1192 -1.5300
H -1.6935 0.3884 -2.3952
H -3.2650 -0.3836 -2.5631
H -1.0017 2.2752 -1.4312
H 0.6050 3.4925 -0.0433
H 0.2631 4.1800 3.3191
H 1.5431 4.0629 2.1067
H 1.3802 2.8213 3.3666
H -0.9674 1.5909 3.4534
H -2.5260 0.3306 2.0760
O -1.1797 -3.6153 0.8399
C -0.5939 -2.5186 0.4912
O -0.5501 -1.4985 1.1899
C 0.1062 -2.5262 -0.8194
C 0.3218 -3.6023 -1.6594
C 1.1860 -3.4152 -2.7368
C 1.8531 -2.2055 -2.8942
C 1.5407 -1.1875 -2.0118
N 0.6486 -1.3359 -1.0375
C 2.2282 0.1102 -1.6948
O 3.5069 0.1226 -1.5541
O 1.4863 1.0156 -1.2840
H -1.5589 -3.5706 1.7376
H -0.1412 -4.5602 -1.4663
H 1.3825 -4.2315 -3.4189
H 2.5988 -2.0647 -3.6649
F 1.1162 0.2386 2.5704
Te 4.0094 0.1443 0.4443
F 5.1651 1.4504 -0.0582
F 4.6044 0.2354 2.1583
F 2.7428 1.6009 0.8308
F 5.1690 -1.1916 0.0289
O 2.5126 -0.8450 0.6683
```



Record 2
The following is a quantum chemistry calculation of a structure of composition C19H29AsBLaN8O2, from the OMol25 dataset.

The spin multiplicity is 2. The relative energy (zero: lowest compared OMol25 entry of this formula, charge and spin) comes out at 35.44 kcal per mole. The value obtained for the LUMO energy (spin up / spin down) is -8.12 / -12.73 eV. For the HOMO-LUMO gap (spin up / spin down), the calculation gives 0.34957 / 0.18005 hartree. As for the charge: +3.

The geometry in XYZ format:
```
61
C19H29AsBLaN8O2 (ωB97M-V/def2-TZVPD)
La 0.9880 -0.1277 -0.4288
C -2.2860 -3.2943 -0.5791
C -0.9546 -2.9214 -0.7710
N -0.7052 -1.7553 -0.1680
N -1.8716 -1.3610 0.4232
C -2.8248 -2.2734 0.1842
B -1.8746 -0.1454 1.3924
N -1.7483 1.1895 0.5946
C -2.6370 2.1970 0.5259
C -2.1489 3.1700 -0.3256
C -0.9202 2.6764 -0.7525
N -0.6810 1.4825 -0.2001
N -0.6549 -0.3644 2.3172
C -0.5874 -1.0792 3.4557
C 0.7345 -1.1603 3.8519
C 1.4379 -0.4632 2.8713
N 0.5987 -0.0004 1.9376
N -3.1560 -0.0837 2.2006
C -3.3751 0.4602 3.4097
C -4.7458 0.4053 3.6591
C -5.3038 -0.1828 2.5003
N -4.3466 -0.3816 1.6429
H -2.7797 -4.1749 -0.9382
H -0.1753 -3.4700 -1.2779
H -3.8297 -2.1500 0.5486
H -3.5649 2.1988 1.0600
H -2.6137 4.0959 -0.5963
H -0.2129 3.1334 -1.4256
H -1.4513 -1.4961 3.9341
H 1.1296 -1.6619 4.7125
H 2.4965 -0.2533 2.8211
H -2.5855 0.8233 4.0397
_Back to the piece_

Supporting Windows on your laptop is “like a fat person using their energy to move their weight.”


“If Intel and Microsoft are against it… we must be doing something right.”


I’m paraphrasing this one: “It broke my heart to come to cambodia, and find that these kids were learning Word and Excel, like that was somehow going to secure them a job”

My next source of inspiration came in the form of Gary Stager, who delivered a rousing, shoot-from-the-hip presentation entitled: Preventing your one-to-one dreams from becoming nightmares.

I decided to attend this session in a very last minute fashion, and I stationed myself close to the door, in case things got ugly.

I could not have been more wrong.

A number of things stuck with me from his speech, things that perhaps were in the sub-concious, or things I have been simply unable to articulate to the right people. The real power of the internet is the opportunity for collaboration, and the opportunity of empowering yourself to publish your ideas. As he said, the power of the internet is not “dopey notions of things like webquests.” Going to some website to write down when Abraham Lincoln was born doesn’t somehow make it more exciting or engaging, because it is on the internet.

Another idea floated, that some of my teachers have picked up on, is the idea that assignments should be broad enough to be satisfied in a number of ways… meaning a number of methods of problem solving and a number of methods of production and communication.

Also, he dissed the clicker/voter things that seem to be all the rage at the moment. Companies would love nothing more than to sell thousands of those things and “turn all the teachers into Vanna White.”
Both Negroponte and Stager hit on the idea that teaching computer programming is all about teaching kids to learn, think and problem solve. Both used Logo as an example. (Don’t I feel special for having written down this spring in my draft curriculum, “LS – Logo”)

Okay, enough from me, here’s some from the community:

Finally– Will Richardson on the Read/Write Web. Again, an excellent, excellent presentation. “Why web 2.0 changes everything”. It’s not about the technology, as Will says, its again this idea that the empowering and amazing thing is that now every kid is a newspaper, a textbook, a radio show, a television show and a movie. Students can publish to a worldwide audience and it is incredibly powerful.

One moment from Will’s speech was especially poignant. He showed a Coors’ beer commercial from about 5 years ago, I love football and the Twins, etc. And then presented some teenager’s MySpace profile. The link was obvious. “We should not be afraid of MySpace, we need to teach MySpace.” And by teaching MySpace, that means teaching about society, culture, ethics, and what is of value in this world. MySpace is not some separate little thing that we can block kids out of. MySpace is real life. And if we’re worried about what our kids are doing and saying in that virtual space… we need to be teaching and leading in every space.

**Misplaced data records:**
/*
Density functional theory data (ωB97M-V/def2-TZVPD) for a single C6H10O molecule in a non-equilibrium geometry.

Computed properties:
* gap between HOMO and LUMO: 9.79 eV
* LUMO level: 0.95 eV
* net charge: 0
* structure (SMILES): C=C(C)/C=C/CO

Atoms and positions in Å:
1 C -0.765 -2.079 1.007
2 C -0.197 -0.926 1.412
3 C 0.773 -0.793 2.568
4 C -0.297 0.248 0.511
5 C -0.176 0.265 -0.811
6 C -0.241 1.485 -1.663
7 O 0.607 1.493 -2.790
8 H -0.617 -2.954 1.622
9 H -1.341 -1.991 0.101
10 H 1.289 0.159 2.439
11 H 1.539 -1.567 2.551
12 H 0.290 -0.804 3.544
13 H -0.300 1.196 1.053
14 H 0.117 -0.603 -1.401
15 H -0.064 2.393 -1.065
16 H -1.270 1.598 -2.022
17 H 1.490 1.683 -2.484

---

Density functional theory data (ωB97M-V/def2-TZVPD) for C6H10O as an isolated structure.

Computed properties:
* gap between HOMO and LUMO: 8.01 eV
* LUMO level: 0.89 eV
* net charge: 0

Atoms and positions in Å:
1 C 1.827 0.524 -0.862
2 C 0.275 0.105 0.142
3 C 0.137 -1.385 0.362
4 C -1.371 -1.150 0.013
5 C -1.065 0.291 -0.492
6 C -1.166 1.381 0.578
7 O 0.211 1.084 1.094
8 H 2.440 0.381 0.028
9 H 2.117 -0.191 -1.636
10 H 1.919 1.564 -1.190
11 H 0.679 -1.987 -0.373
12 H 0.390 -1.721 1.371
13 H -2.010 -1.187 0.908
14 H -1.782 -1.851 -0.722
15 H 0.513 0.482 -1.059
16 H -1.905 1.227 1.375
17 H -1.191 2.429 0.255

---

Density functional theory data (ωB97M-V/def2-TZVPD) for a 2-piece molecular cluster, C6H10O overall in a non-equilibrium geometry.

Computed properties:
* gap between HOMO and LUMO: 10.39 eV
* LUMO level: 1.04 eV
* net charge: 0
* structure (SMILES): C=C1O[C@@H]1C.C=C

Atoms and positions in Å:
1 C 0.098 -1.629 -1.408
2 C -0.001 -1.514 -0.137
3 O -0.862 -1.355 0.909
4 C 0.514 -1.543 1.197
5 C 1.073 -0.292 1.832
6 H 1.111 -1.741 -1.757
7 H -0.745 -1.739 -2.092
8 H 0.889 -2.457 1.499
9 H 0.339 0.540 1.970
10 H 1.903 0.171 1.187
11 H 1.595 -0.344 2.775
12 C -1.197 2.179 -1.612
13 C -0.830 1.860 -0.377
14 H -2.170 2.130 -2.013
15 H -0.418 2.255 -2.394
16 H -1.455 1.616 0.508
17 H 0.156 1.863 -0.088

---

Density functional theory data (ωB97M-V/def2-TZVPD) for a 2-piece molecular cluster, C6H10O overall in a non-equilibrium geometry.

Computed properties:
* gap between HOMO and LUMO: 8.83 eV
* LUMO level: 0.47 eV
* net charge: 0
* structure (SMILES): C=C/C=C/C=C.O

Atoms and positions in Å:
1 C 2.103 -1.083 2.413
2 C 0.974 -0.585 2.925
3 C -0.037 0.138 2.142
4 C -0.089 0.265 0.826
5 C -1.188 0.956 0.146
6 C -1.284 0.999 -1.172
7 H 2.810 -1.666 2.981
8 H 2.387 -0.876 1.384
9 H 0.778 -0.813 3.973
10 H -0.827 0.587 2.746
11 H 0.573 -0.221 0.115
12 H -1.947 1.368 0.787
13 H -0.599 0.453 -1.802
14 H -2.069 1.487 -1.722
15 O -0.401 0.033 -5.249
16 H -0.916 -0.416 -4.553
17 H -0.268 -0.625 -5.940

---

Density functional theory data (ωB97M-V/def2-TZVPD) for C6H10O as an isolated structure.

Computed properties:
* gap between HOMO and LUMO: 10.86 eV
* LUMO level: 1.22 eV
* net charge: 0

Atoms and positions in Å:
1 C -1.823 -0.202 1.301
2 C -1.800 0.631 0.046
*/
**End of the data records:**

We’re fighting a battle of relevancy with our students. We block access, we cut off communcation, and we dictate how technology will be used, and in the end, schools are losing relevance with kids.
What can we do to regain relevance? We change the way we teach. Teaching in the past was linear. Life is not like that. Life is not a linear set of steps to get from Point A to Point B. Life is a mess, the internet is a mess, myspace is a mess, we need to teach how to navigate, interpret, understand and shape the mess. I’ll bet you have heard the phrase, “How are you going to learn if you don’t get your hands dirty?”

[tags]necc, necc06, necc2006[/tags]

1 Comment so far

  1. tep on July 8th, 2006

    dude, negroponte is my peeps! in that, i worked at the media lab and saw him in the hallway a few times. whut.